Data:
/*
Calculated powder diffraction line list
Compound: AlGaCuS4
Radiation: Cu Kα (λ = 1.5418 Å)
Structure: a cell relaxed with GGA-PBE

Structural model:
Cell lengths 7.054, 7.054, 10.164 Å; angles 90.00, 90.00, 90.00 degrees
Atoms (fractional coordinates):
1 Al 0.000 0.261 0.000
2 Al 0.000 0.739 0.500
3 Al 0.261 0.000 0.750
4 Al 0.739 0.000 0.250
5 Ga 0.248 0.248 0.375
6 Ga 0.248 0.752 0.125
7 Ga 0.752 0.248 0.625
8 Ga 0.752 0.752 0.875
9 Cu 0.245 0.500 0.750
10 Cu 0.500 0.245 0.000
11 Cu 0.500 0.755 0.500
12 Cu 0.755 0.500 0.250
13 S 0.020 0.246 0.761
14 S 0.020 0.754 0.739
15 S 0.246 0.020 0.989
16 S 0.246 0.980 0.511
17 S 0.251 0.487 0.992
18 S 0.251 0.513 0.508
19 S 0.487 0.251 0.758
20 S 0.487 0.749 0.742
21 S 0.513 0.251 0.242
22 S 0.513 0.749 0.258
23 S 0.749 0.487 0.008
24 S 0.749 0.513 0.492
25 S 0.754 0.020 0.011
26 S 0.754 0.980 0.489
27 S 0.980 0.246 0.239
28 S 0.980 0.754 0.261

Top 6 peaks for 2θ = 10–80°, in order of rising 2θ:
- 2θ 25.01, 3.560 Å, I 46
- 2θ 29.24, 3.054 Å, I 49
- 2θ 29.65, 3.013 Å, I 100
- 2θ 47.31, 1.921 Å, I 42
- 2θ 51.33, 1.780 Å, I 91
- 2θ 51.84, 1.764 Å, I 44
*/

To do:
Next, filter the rows further above: keep the lines with the word "Calculated".

Solution:
Calculated powder diffraction line list